What is needed: set down the whole of the notes below with every line break kept.
- - -
Entry 1:
TiNb3Rh: computed PXRD pattern (Cu Kα X-rays), based on a DFT-relaxed cell (GGA-PBE, Alexandria).

Main lines, in order of rising 2θ (2θ = 10–90°):
| Position (°2θ) | I_rel |
| --- | --- |
| 33.36 | 24 |
| 38.20 | 100 |
| 38.43 | 81 |
| 40.38 | 70 |
| 46.76 | 16 |
| 55.46 | 20 |
| 58.12 | 14 |
| 69.40 | 17 |
| 71.87 | 15 |
| 81.24 | 21 |

a = 7.336 Å, b = 7.336 Å, c = 7.336 Å
α = 158.48°, β = 142.79°, γ = 43.39°
Atoms (fractional coordinates):
Ti: 0.000 0.000 0.000
Nb: 0.191 0.691 0.500
Nb: 0.398 0.398 0.000
Nb: 0.789 0.289 0.500
Rh: 0.587 0.587 0.000



Entry 2:
MgB12C2: computed PXRD pattern (Cu Kα X-rays), based on a DFT-relaxed cell (GGA-PBE, Alexandria).

Main lines, in order of rising 2θ (2θ = 10–90°):
| Position (°2θ) | I_rel |
| --- | --- |
| 26.60 | 70 |
| 31.87 | 21 |
| 36.87 | 99 |
| 39.11 | 40 |
| 42.00 | 100 |
| 44.00 | 52 |
| 47.70 | 25 |
| 60.61 | 35 |
| 73.91 | 29 |
| 74.53 | 47 |

a = 6.909 Å, b = 6.909 Å, c = 6.909 Å
α = 132.04°, β = 89.41°, γ = 109.91°
Atoms (fractional coordinates):
Mg: 0.390 0.140 0.250
Mg: 0.610 0.860 0.750
B: 0.033 0.187 0.324
B: 0.033 0.709 0.846
B: 0.088 0.682 0.406
B: 0.187 0.520 0.667
B: 0.224 0.499 0.402
B: 0.224 0.822 0.725
B: 0.225 0.318 0.906
B: 0.354 0.520 0.833
B: 0.363 0.187 0.654
B: 0.363 0.709 0.176
B: 0.404 0.178 0.902
B: 0.404 0.501 0.225
B: 0.596 0.499 0.775
B: 0.596 0.822 0.098
B: 0.637 0.291 0.824
B: 0.637 0.813 0.346
B: 0.646 0.480 0.167
B: 0.775 0.682 0.094
B: 0.776 0.178 0.275
B: 0.776 0.501 0.598
B: 0.813 0.480 0.333
B: 0.912 0.318 0.594
B: 0.967 0.291 0.154
B: 0.967 0.813 0.676
C: 0.033 0.871 0.163
C: 0.208 0.871 0.337
C: 0.792 0.129 0.663
C: 0.967 0.129 0.837



Entry 3:
Hf3CdH: computed PXRD pattern (Cu Kα X-rays), based on a DFT-relaxed cell (GGA-PBE, Alexandria).

Main lines, in order of rising 2θ (2θ = 10–90°):
| Position (°2θ) | I_rel |
| --- | --- |
| 34.80 | 100 |
| 36.89 | 20 |
| 38.74 | 19 |
| 45.19 | 12 |
| 54.57 | 14 |
| 59.70 | 10 |
| 61.00 | 10 |
| 65.12 | 14 |
| 67.60 | 15 |
| 73.47 | 10 |

a = 9.390 Å, b = 9.390 Å, c = 4.648 Å
α = 90.00°, β = 90.00°, γ = 117.47°
Atoms (fractional coordinates):
Hf: 0.070 0.201 0.500
Hf: 0.081 0.693 0.000
Hf: 0.201 0.070 0.000
Hf: 0.296 0.433 0.000
Hf: 0.307 0.919 0.500
Hf: 0.433 0.296 0.500
Hf: 0.567 0.704 0.500
Hf: 0.693 0.081 0.500
Hf: 0.704 0.567 0.000
Hf: 0.799 0.930 0.000
Hf: 0.919 0.307 0.000
Hf: 0.930 0.799 0.500
Cd: 0.175 0.550 0.500
Cd: 0.450 0.825 0.000
Cd: 0.550 0.175 0.000
Cd: 0.825 0.450 0.500
H: 0.000 0.000 0.250
H: 0.000 0.000 0.750
H: 0.500 0.500 0.250
H: 0.500 0.500 0.750



Entry 4:
RbInAuCl6: computed PXRD pattern (Cu Kα X-rays), based on a DFT-relaxed cell (GGA-PBE, Alexandria).

Main lines, in order of rising 2θ (2θ = 10–90°):
| Position (°2θ) | I_rel |
| --- | --- |
| 12.22 | 100 |
| 18.16 | 61 |
| 19.82 | 50 |
| 20.11 | 59 |
| 26.15 | 30 |
| 26.93 | 31 |
| 30.21 | 39 |
| 32.96 | 33 |
| 37.68 | 51 |
| 44.50 | 30 |

a = 6.670 Å, b = 6.676 Å, c = 7.280 Å
α = 93.25°, β = 93.37°, γ = 113.23°
Atoms (fractional coordinates):
Rb: 0.000 0.000 0.000
In: 0.653 0.346 0.500
Au: 0.305 0.694 0.500
Cl: 0.346 0.043 0.668
Cl: 0.349 0.409 0.295
Cl: 0.591 0.650 0.704
Cl: 0.628 0.065 0.258
Cl: 0.936 0.370 0.740
Cl: 0.956 0.654 0.331



Entry 5:
TiPd3Pt6: computed PXRD pattern (Cu Kα X-rays), based on a DFT-relaxed cell (GGA-PBE, Alexandria).

Main lines, in order of rising 2θ (2θ = 10–90°):
| Position (°2θ) | I_rel |
| --- | --- |
| 22.54 | 6 |
| 39.43 | 100 |
| 45.44 | 17 |
| 46.06 | 32 |
| 66.73 | 16 |
| 67.18 | 10 |
| 79.84 | 6 |
| 80.71 | 11 |
| 80.86 | 13 |
| 84.87 | 11 |

a = 8.838 Å, b = 3.937 Å, c = 8.911 Å
α = 90.00°, β = 90.50°, γ = 90.00°
Atoms (fractional coordinates):
Ti: 0.061 0.250 0.383
Ti: 0.939 0.750 0.617
Pd: 0.250 0.250 0.993
Pd: 0.349 0.750 0.794
Pd: 0.450 0.250 0.600
Pd: 0.550 0.750 0.400
Pd: 0.651 0.250 0.206
Pd: 0.750 0.750 0.007
Pt: 0.049 0.750 0.896
Pt: 0.136 0.250 0.687
Pt: 0.151 0.750 0.203
Pt: 0.235 0.750 0.498
Pt: 0.347 0.250 0.301
Pt: 0.448 0.750 0.098
Pt: 0.552 0.250 0.902
- - -
Entry 1:
TiNb3Rh: computed PXRD pattern (Cu Kα X-rays), based on a DFT-relaxed cell (GGA-PBE, Alexandria).

Main lines, in order of rising 2θ (2θ = 10–90°):
| Position (°2θ) | I_rel |
| --- | --- |
| 33.36 | 24 |
| 38.20 | 100 |
| 38.43 | 81 |
| 40.38 | 70 |
| 46.76 | 16 |
| 55.46 | 20 |
| 58.12 | 14 |
| 69.40 | 17 |
| 71.87 | 15 |
| 81.24 | 21 |

a = 7.336 Å, b = 7.336 Å, c = 7.336 Å
α = 158.48°, β = 142.79°, γ = 43.39°
Atoms (fractional coordinates):
Ti: 0.000 0.000 0.000
Nb: 0.191 0.691 0.500
Nb: 0.398 0.398 0.000
Nb: 0.789 0.289 0.500
Rh: 0.587 0.587 0.000



Entry 2:
MgB12C2: computed PXRD pattern (Cu Kα X-rays), based on a DFT-relaxed cell (GGA-PBE, Alexandria).

Main lines, in order of rising 2θ (2θ = 10–90°):
| Position (°2θ) | I_rel |
| --- | --- |
| 26.60 | 70 |
| 31.87 | 21 |
| 36.87 | 99 |
| 39.11 | 40 |
| 42.00 | 100 |
| 44.00 | 52 |
| 47.70 | 25 |
| 60.61 | 35 |
| 73.91 | 29 |
| 74.53 | 47 |

a = 6.909 Å, b = 6.909 Å, c = 6.909 Å
α = 132.04°, β = 89.41°, γ = 109.91°
Atoms (fractional coordinates):
Mg: 0.390 0.140 0.250
Mg: 0.610 0.860 0.750
B: 0.033 0.187 0.324
B: 0.033 0.709 0.846
B: 0.088 0.682 0.406
B: 0.187 0.520 0.667
B: 0.224 0.499 0.402
B: 0.224 0.822 0.725
B: 0.225 0.318 0.906
B: 0.354 0.520 0.833
B: 0.363 0.187 0.654
B: 0.363 0.709 0.176
B: 0.404 0.178 0.902
B: 0.404 0.501 0.225
B: 0.596 0.499 0.775
B: 0.596 0.822 0.098
B: 0.637 0.291 0.824
B: 0.637 0.813 0.346
B: 0.646 0.480 0.167
B: 0.775 0.682 0.094
B: 0.776 0.178 0.275
B: 0.776 0.501 0.598
B: 0.813 0.480 0.333
B: 0.912 0.318 0.594
B: 0.967 0.291 0.154
B: 0.967 0.813 0.676
C: 0.033 0.871 0.163
C: 0.208 0.871 0.337
C: 0.792 0.129 0.663
C: 0.967 0.129 0.837



Entry 3:
Hf3CdH: computed PXRD pattern (Cu Kα X-rays), based on a DFT-relaxed cell (GGA-PBE, Alexandria).

Main lines, in order of rising 2θ (2θ = 10–90°):
| Position (°2θ) | I_rel |
| --- | --- |
| 34.80 | 100 |
| 36.89 | 20 |
| 38.74 | 19 |
| 45.19 | 12 |
| 54.57 | 14 |
| 59.70 | 10 |
| 61.00 | 10 |
| 65.12 | 14 |
| 67.60 | 15 |
| 73.47 | 10 |

a = 9.390 Å, b = 9.390 Å, c = 4.648 Å
α = 90.00°, β = 90.00°, γ = 117.47°
Atoms (fractional coordinates):
Hf: 0.070 0.201 0.500
Hf: 0.081 0.693 0.000
Hf: 0.201 0.070 0.000
Hf: 0.296 0.433 0.000
Hf: 0.307 0.919 0.500
Hf: 0.433 0.296 0.500
Hf: 0.567 0.704 0.500
Hf: 0.693 0.081 0.500
Hf: 0.704 0.567 0.000
Hf: 0.799 0.930 0.000
Hf: 0.919 0.307 0.000
Hf: 0.930 0.799 0.500
Cd: 0.175 0.550 0.500
Cd: 0.450 0.825 0.000
Cd: 0.550 0.175 0.000
Cd: 0.825 0.450 0.500
H: 0.000 0.000 0.250
H: 0.000 0.000 0.750
H: 0.500 0.500 0.250
H: 0.500 0.500 0.750



Entry 4:
RbInAuCl6: computed PXRD pattern (Cu Kα X-rays), based on a DFT-relaxed cell (GGA-PBE, Alexandria).

Main lines, in order of rising 2θ (2θ = 10–90°):
| Position (°2θ) | I_rel |
| --- | --- |
| 12.22 | 100 |
| 18.16 | 61 |
| 19.82 | 50 |
| 20.11 | 59 |
| 26.15 | 30 |
| 26.93 | 31 |
| 30.21 | 39 |
| 32.96 | 33 |
| 37.68 | 51 |
| 44.50 | 30 |

a = 6.670 Å, b = 6.676 Å, c = 7.280 Å
α = 93.25°, β = 93.37°, γ = 113.23°
Atoms (fractional coordinates):
Rb: 0.000 0.000 0.000
In: 0.653 0.346 0.500
Au: 0.305 0.694 0.500
Cl: 0.346 0.043 0.668
Cl: 0.349 0.409 0.295
Cl: 0.591 0.650 0.704
Cl: 0.628 0.065 0.258
Cl: 0.936 0.370 0.740
Cl: 0.956 0.654 0.331



Entry 5:
TiPd3Pt6: computed PXRD pattern (Cu Kα X-rays), based on a DFT-relaxed cell (GGA-PBE, Alexandria).

Main lines, in order of rising 2θ (2θ = 10–90°):
| Position (°2θ) | I_rel |
| --- | --- |
| 22.54 | 6 |
| 39.43 | 100 |
| 45.44 | 17 |
| 46.06 | 32 |
| 66.73 | 16 |
| 67.18 | 10 |
| 79.84 | 6 |
| 80.71 | 11 |
| 80.86 | 13 |
| 84.87 | 11 |

a = 8.838 Å, b = 3.937 Å, c = 8.911 Å
α = 90.00°, β = 90.50°, γ = 90.00°
Atoms (fractional coordinates):
Ti: 0.061 0.250 0.383
Ti: 0.939 0.750 0.617
Pd: 0.250 0.250 0.993
Pd: 0.349 0.750 0.794
Pd: 0.450 0.250 0.600
Pd: 0.550 0.750 0.400
Pd: 0.651 0.250 0.206
Pd: 0.750 0.750 0.007
Pt: 0.049 0.750 0.896
Pt: 0.136 0.250 0.687
Pt: 0.151 0.750 0.203
Pt: 0.235 0.750 0.498
Pt: 0.347 0.250 0.301
Pt: 0.448 0.750 0.098
Pt: 0.552 0.250 0.902